(Brief)
Could you set down the lines underneath up to the one that holds "3.89159 -0.60260", that line included?

(Contents)
____________
A molecular structure, C13H13FeN2O9. Source: the OMol25 dataset; level of theory: ωB97M-V with the def2-TZVPD basis set.

Last column: Löwdin charge in e.
Atoms and positions in Å:
Fe: 1.618 0.044 -0.462  0.778
O: 0.899 1.429 -1.774  -0.064
C: 0.181 0.699 -2.791  -0.143
C: 1.183 -0.314 -3.304  -0.099
N: 1.833 -1.024 -2.171  -0.188
C: 3.302 -1.037 -2.320  -0.055
C: 3.633 0.399 -1.902  -0.589
O: 3.962 1.238 -2.705  0.106
O: 3.342 0.606 -0.636  -0.061
C: 1.277 -2.346 -1.814  -0.044
C: 1.287 -2.546 -0.281  -0.589
O: 0.792 -3.534 0.195  0.104
O: 1.897 -1.591 0.379  -0.054
H: 0.372 2.127 -1.367  0.141
H: -0.121 1.378 -3.588  0.137
H: -0.696 0.228 -2.349  0.121
H: 1.962 0.220 -3.845  0.131
H: 0.712 -1.024 -3.986  0.140
H: 3.790 -1.211 -3.279  0.143
H: 3.681 -1.723 -1.564  0.139
H: 1.871 -3.144 -2.265  0.140
H: 0.258 -2.445 -2.186  0.137
O: 0.921 1.118 1.053  0.030
C: -0.191 0.530 0.894  -0.506
O: -0.308 -0.238 -0.114  -0.021
C: -1.305 0.706 1.855  -0.111
C: -1.254 1.741 2.782  0.018
C: -2.289 1.903 3.686  0.022
C: -3.343 1.007 3.642  -0.130
C: -3.406 -0.040 2.740  0.023
C: -2.372 -0.186 1.832  0.021
N: -4.450 1.175 4.605  -0.351
O: -4.376 2.098 5.388  0.084
O: -5.352 0.365 4.568  0.085
H: -0.401 2.406 2.791  0.128
H: -2.292 2.696 4.417  0.123
H: -4.246 -0.717 2.762  0.124
H: -2.371 -0.993 1.114  0.128

Output
- energy (Ha) = -2553.53638
- <S²> = 0.773
- spin multiplicity = 2
- LUMO (spin up / spin down) (eV) = -1.12 / -1.11

=====

Record 1
The following is a DFT calculation (the ωB97M-V functional and the def2-TZVPD basis) of a structure of composition C19H20BCl3CuN11OSi.

```
57
Properties=species:S:1:pos:R:3:forces:R:3:nbo_charge:R:1
Cu 1.44934 0.06654 -0.50818 0.25 0.04 0.10 0.915
C 1.28441 3.52557 -1.75771 -0.03 -0.02 0.09 -0.647
C 0.13793 2.90189 -1.02735 0.09 0.16 -0.09 0.181
C -1.13334 3.43429 -0.76619 0.04 -0.07 0.00 -0.354
C -1.79280 2.44689 -0.06866 -0.01 -0.01 -0.02 0.014
N -0.96120 1.39661 0.06667 -0.23 0.13 0.04 -0.354
N 0.23066 1.68318 -0.51538 -0.10 0.03 -0.11 -0.445
B -1.06837 0.09944 0.90219 -0.08 -0.05 -0.02 0.934
N 0.09475 0.14410 1.94947 0.02 -0.09 -0.08 -0.348
C 0.06767 0.56025 3.22969 0.07 0.03 -0.01 -0.007
C 1.34998 0.51485 3.73077 -0.03 -0.08 -0.03 -0.351
C 2.13617 0.05843 2.65848 0.02 0.13 0.08 0.159
C 3.60276 -0.22448 2.62741 -0.02 0.03 -0.02 -0.636
N 1.37582 -0.13042 1.58926 -0.07 -0.17 0.02 -0.390
N -0.95444 -1.17984 -0.00829 0.21 0.16 0.09 -0.348
C -1.84272 -2.18529 -0.11287 -0.01 -0.01 -0.04 0.011
C -1.28804 -3.17792 -0.88581 0.07 -0.10 -0.01 -0.354
C -0.00649 -2.70893 -1.22112 -0.11 0.14 0.08 0.173
C 1.08768 -3.40852 -1.95407 -0.09 -0.10 -0.08 -0.647
N 0.17050 -1.49566 -0.70866 -0.20 -0.10 0.08 -0.435
N -2.39742 -0.02039 1.64685 0.14 0.07 0.05 -0.381
C -2.64247 -0.82713 2.70967 -0.01 -0.16 -0.20 -0.035
C -4.00082 -0.95025 2.84057 -0.08 0.13 0.10 -0.352
C -4.53278 -0.15397 1.80202 0.00 -0.06 0.00 0.138
C -5.96955 0.11541 1.48529 0.02 -0.02 -0.02 -0.637
N -3.56400 0.38181 1.07943 0.03 -0.08 0.05 -0.296
H 1.51301 4.50633 -1.33913 -0.01 0.01 -0.03 0.225
H 1.05140 3.65607 -2.81549 -0.02 0.02 0.00 0.227
H 2.17619 2.90460 -1.67369 -0.06 0.01 0.00 0.221
H -1.51886 4.39672 -1.05700 0.02 -0.02 0.01 0.228
H -2.79214 2.40113 0.32645 0.03 -0.01 -0.01 0.252
H -0.85514 0.86183 3.69586 0.02 -0.01 0.00 0.230
H 1.67214 0.76016 4.72886 -0.01 -0.01 -0.02 0.228
H 3.86601 -0.97684 3.37248 -0.01 0.01 0.00 0.226
H 4.18913 0.67147 2.84070 -0.02 -0.02 -0.02 0.221
H 3.89159 -0.60260 1.64690 -0.01 0.00 0.03 0.220
H -2.80927 -2.13731 0.36132 0.02 0.05 0.02 0.233
H -1.73647 -4.11923 -1.15672 0.03 0.02 0.01 0.228
H 1.34726 -4.33531 -1.43953 -0.02 -0.01 -0.03 0.228
H 1.98303 -2.79223 -1.98979 0.03 0.05 0.00 0.219
H 0.79685 -3.66120 -2.97667 0.04 0.00 0.11 0.231
H -1.83912 -1.29314 3.25601 -0.02 0.02 0.00 0.226
H -4.54003 -1.51269 3.58492 0.01 0.03 -0.01 0.226
H -6.62112 -0.48400 2.11953 0.01 0.00 -0.01 0.215
H -6.18735 -0.12234 0.44399 0.00 0.01 0.00 0.227
H -6.21453 1.16611 1.64412 0.00 0.00 0.01 0.224
____________

(Here it is)
A molecular structure, C13H13FeN2O9. Source: the OMol25 dataset; level of theory: ωB97M-V with the def2-TZVPD basis set.

Last column: Löwdin charge in e.
Atoms and positions in Å:
Fe: 1.618 0.044 -0.462  0.778
O: 0.899 1.429 -1.774  -0.064
C: 0.181 0.699 -2.791  -0.143
C: 1.183 -0.314 -3.304  -0.099
N: 1.833 -1.024 -2.171  -0.188
C: 3.302 -1.037 -2.320  -0.055
C: 3.633 0.399 -1.902  -0.589
O: 3.962 1.238 -2.705  0.106
O: 3.342 0.606 -0.636  -0.061
C: 1.277 -2.346 -1.814  -0.044
C: 1.287 -2.546 -0.281  -0.589
O: 0.792 -3.534 0.195  0.104
O: 1.897 -1.591 0.379  -0.054
H: 0.372 2.127 -1.367  0.141
H: -0.121 1.378 -3.588  0.137
H: -0.696 0.228 -2.349  0.121
H: 1.962 0.220 -3.845  0.131
H: 0.712 -1.024 -3.986  0.140
H: 3.790 -1.211 -3.279  0.143
H: 3.681 -1.723 -1.564  0.139
H: 1.871 -3.144 -2.265  0.140
H: 0.258 -2.445 -2.186  0.137
O: 0.921 1.118 1.053  0.030
C: -0.191 0.530 0.894  -0.506
O: -0.308 -0.238 -0.114  -0.021
C: -1.305 0.706 1.855  -0.111
C: -1.254 1.741 2.782  0.018
C: -2.289 1.903 3.686  0.022
C: -3.343 1.007 3.642  -0.130
C: -3.406 -0.040 2.740  0.023
C: -2.372 -0.186 1.832  0.021
N: -4.450 1.175 4.605  -0.351
O: -4.376 2.098 5.388  0.084
O: -5.352 0.365 4.568  0.085
H: -0.401 2.406 2.791  0.128
H: -2.292 2.696 4.417  0.123
H: -4.246 -0.717 2.762  0.124
H: -2.371 -0.993 1.114  0.128

Output
- energy (Ha) = -2553.53638
- <S²> = 0.773
- spin multiplicity = 2
- LUMO (spin up / spin down) (eV) = -1.12 / -1.11

=====

Record 1
The following is a DFT calculation (the ωB97M-V functional and the def2-TZVPD basis) of a structure of composition C19H20BCl3CuN11OSi.

```
57
Properties=species:S:1:pos:R:3:forces:R:3:nbo_charge:R:1
Cu 1.44934 0.06654 -0.50818 0.25 0.04 0.10 0.915
C 1.28441 3.52557 -1.75771 -0.03 -0.02 0.09 -0.647
C 0.13793 2.90189 -1.02735 0.09 0.16 -0.09 0.181
C -1.13334 3.43429 -0.76619 0.04 -0.07 0.00 -0.354
C -1.79280 2.44689 -0.06866 -0.01 -0.01 -0.02 0.014
N -0.96120 1.39661 0.06667 -0.23 0.13 0.04 -0.354
N 0.23066 1.68318 -0.51538 -0.10 0.03 -0.11 -0.445
B -1.06837 0.09944 0.90219 -0.08 -0.05 -0.02 0.934
N 0.09475 0.14410 1.94947 0.02 -0.09 -0.08 -0.348
C 0.06767 0.56025 3.22969 0.07 0.03 -0.01 -0.007
C 1.34998 0.51485 3.73077 -0.03 -0.08 -0.03 -0.351
C 2.13617 0.05843 2.65848 0.02 0.13 0.08 0.159
C 3.60276 -0.22448 2.62741 -0.02 0.03 -0.02 -0.636
N 1.37582 -0.13042 1.58926 -0.07 -0.17 0.02 -0.390
N -0.95444 -1.17984 -0.00829 0.21 0.16 0.09 -0.348
C -1.84272 -2.18529 -0.11287 -0.01 -0.01 -0.04 0.011
C -1.28804 -3.17792 -0.88581 0.07 -0.10 -0.01 -0.354
C -0.00649 -2.70893 -1.22112 -0.11 0.14 0.08 0.173
C 1.08768 -3.40852 -1.95407 -0.09 -0.10 -0.08 -0.647
N 0.17050 -1.49566 -0.70866 -0.20 -0.10 0.08 -0.435
N -2.39742 -0.02039 1.64685 0.14 0.07 0.05 -0.381
C -2.64247 -0.82713 2.70967 -0.01 -0.16 -0.20 -0.035
C -4.00082 -0.95025 2.84057 -0.08 0.13 0.10 -0.352
C -4.53278 -0.15397 1.80202 0.00 -0.06 0.00 0.138
C -5.96955 0.11541 1.48529 0.02 -0.02 -0.02 -0.637
N -3.56400 0.38181 1.07943 0.03 -0.08 0.05 -0.296
H 1.51301 4.50633 -1.33913 -0.01 0.01 -0.03 0.225
H 1.05140 3.65607 -2.81549 -0.02 0.02 0.00 0.227
H 2.17619 2.90460 -1.67369 -0.06 0.01 0.00 0.221
H -1.51886 4.39672 -1.05700 0.02 -0.02 0.01 0.228
H -2.79214 2.40113 0.32645 0.03 -0.01 -0.01 0.252
H -0.85514 0.86183 3.69586 0.02 -0.01 0.00 0.230
H 1.67214 0.76016 4.72886 -0.01 -0.01 -0.02 0.228
H 3.86601 -0.97684 3.37248 -0.01 0.01 0.00 0.226
H 4.18913 0.67147 2.84070 -0.02 -0.02 -0.02 0.221
H 3.89159 -0.60260 1.64690 -0.01 0.00 0.03 0.220